Over the years I’ve talked with hundreds of schools about their technology deployments. While I don’t do any paid consulting officially, I love to go and visit other schools to share ideas, talk about best practices, and to see how their technology stack is set up. I’ve noticed schools that struggled to get off the ground and maintain traction all have one key trait that they all share. Here’s the one simple thing you should do before buying a single iPad or Mac to avoid major education technology mistakes.

_Quantum chemistry results, kept here for reference_
'''
# C26H32N2O5STi

A structure of composition C26H32N2O5STi (wB97M-V/def2-TZVPD, the OMol25 dataset).

```
67
Properties=species:S:1:pos:R:3:forces:R:3:lowdin_charge:R:1
Ti 1.1604 0.1148 0.3893 -0.134 -0.034 -0.269 0.7448
C -0.5458 1.0762 5.0930 0.002 0.002 0.021 -0.0726
C 0.3582 0.9246 3.8652 -0.037 -0.025 0.007 -0.3724
C 1.7998 0.6937 4.2978 0.016 0.020 -0.003 -0.0718
C -0.1852 -0.1553 2.9442 -0.065 -0.057 0.051 -0.2274
C 0.5095 -1.3324 2.6400 0.002 0.141 -0.031 -0.0734
C -0.0438 -2.2759 1.7774 -0.015 0.035 -0.049 -0.0576
C -1.3131 -2.1105 1.2293 0.035 -0.046 -0.003 -0.2892
C -1.8277 -3.0935 0.2174 -0.023 0.009 0.000 -0.0429
C -2.0220 -0.9648 1.5692 0.017 0.044 0.014 -0.0547
C -1.4525 0.0038 2.3815 -0.071 0.023 0.053 -0.0484
H -0.1875 1.8900 5.7283 0.001 -0.001 -0.001 0.0713
H -0.5423 0.1561 5.6857 0.001 0.001 -0.006 0.0794
H -1.5778 1.2947 4.8166 0.001 -0.004 -0.004 0.0662
H 0.3249 1.8558 3.2919 0.005 0.011 0.005 0.1311
H 1.8929 -0.2135 4.9044 0.000 0.002 -0.005 0.0808
H 2.1407 1.5332 4.9081 -0.007 -0.001 0.000 0.0786
H 2.4579 0.6110 3.4322 -0.001 -0.010 -0.014 0.0510
H 1.4918 -1.5063 3.0512 -0.001 0.006 0.010 0.0891
H 0.5467 -3.1381 1.4911 0.004 0.003 0.002 0.1245
H -1.2377 -3.0084 -0.6982 0.000 -0.008 0.002 0.0685
H -2.8727 -2.9061 -0.0319 0.003 0.006 0.008 0.0746
H -1.7362 -4.1203 0.5776 -0.001 0.000 -0.012 0.0759
H -2.9960 -0.7849 1.1278 -0.003 -0.012 -0.007 0.1119
H -1.9889 0.9308 2.5577 -0.020 -0.020 0.017 0.1234
O -3.0317 4.0733 -3.0073 0.039 0.040 -0.020 0.0872
C -3.0642 3.6252 -1.7151 -0.122 -0.114 0.037 -0.4713
O -3.7097 4.2156 -0.9016 0.052 0.031 -0.008 0.1243
C -2.3256 2.3538 -1.5198 0.059 0.003 0.022 -0.0695
C -2.5019 1.2263 -2.3040 -0.226 -0.038 0.018 -0.0219
N -1.7081 0.2686 -1.8085 0.190 0.040 -0.089 0.0561
N -0.9766 0.7227 -0.7919 -0.032 -0.101 -0.018 0.0366
C -1.3371 1.9729 -0.5806 -0.029 -0.044 0.096 -0.1246
C -0.5755 2.6837 0.5190 0.104 0.122 -0.259 -0.5961
O -1.0002 3.7345 0.9744 -0.027 -0.031 0.025 0.0524
O 0.5052 2.0747 0.8462 0.139 -0.268 0.143 -0.1302
H -2.3949 3.5359 -3.4948 -0.003 0.007 0.003 0.1021
H -3.1668 1.0298 -3.1297 0.038 -0.017 -0.028 0.1344
H -1.5496 -0.6586 -2.2038 0.037 0.074 0.094 0.1047
C -2.0780 -2.1714 -4.0042 -0.009 0.071 -0.001 -0.3937
C -1.7706 -3.0563 -5.2096 0.042 0.050 0.033 -0.3354
S 1.4844 -0.4623 -2.0115 0.011 -0.112 0.132 0.7900
O 0.8089 -1.4271 -0.9130 0.114 0.122 0.023 -0.7403
C 3.1538 -1.1198 -2.1828 0.098 0.100 -0.151 -0.4991
C 3.9966 -0.0897 -2.9250 0.010 -0.028 0.020 -0.1793
H -3.0895 -2.2571 -3.5304 0.008 0.025 0.038 0.0263
H -1.9703 -1.1125 -4.2873 0.009 0.013 0.020 0.0199
H -1.3538 -2.3463 -3.1897 0.018 -0.023 -0.024 0.0146
H -2.4533 -2.7990 -6.0352 -0.052 -0.060 -0.005 -0.1043
H -1.9422 -4.1127 -4.9507 -0.047 -0.017 -0.034 -0.1020
H 3.0950 -2.0548 -2.7427 -0.030 -0.010 0.007 0.0749
H 3.5313 -1.3018 -1.1777 -0.033 0.009 0.032 0.0535
H 3.5721 0.1323 -3.9072 0.005 0.008 -0.001 0.0608
H 5.0139 -0.4568 -3.0724 -0.008 -0.014 0.009 0.0660
H 4.0519 0.8383 -2.3536 -0.010 -0.009 -0.006 0.0531
'''

About Making The Grade: Every Saturday, Bradley Chambers publishes a new article about Apple in education. He has been managing Apple devices in an education environment since 2009. Through his experience deploying and managing 100s of Macs and 100s of iPads, Bradley will highlight ways in which Apple’s products work at scale, stories from the trenches of IT management, and ways Apple could improve its products for students.

== What comes next are data records, not part of the entry ==
____________
1.
A structure of composition C4H3FeO4 in a non-equilibrium geometry, computed with ωB97M-V/def2-TZVPD.

Calculated values
Charge ... +1
LUMO energy (alpha / beta) ... -6.65 / -6.84 eV
2S+1 ... 5
Expectation value of S² ... 6.010

Cartesian coordinates (Å):
C 0.020 0.483 -0.777
C -0.304 -0.073 0.362
H -1.128 -0.778 0.507
O -0.366 1.279 -2.847
C 0.447 0.600 -2.055
O 1.208 -0.283 -2.706
H -1.260 1.277 -2.283
O 0.455 0.113 1.506
C -0.026 -0.374 2.645
O 0.599 -0.036 3.682
Fe -0.965 -1.114 4.164
H 1.320 -1.095 -2.197

=====

2.
The ion C4H11N2S with charge -1 in a non-equilibrium geometry, computed with ωB97M-V/def2-TZVPD.

Calculated values
Charge ... -1
LUMO energy ... 4.06 eV
SMILES ... NCNCCC[S-]
Energy relative to the best compared isomer or geometry (same formula, charge and spin) ... 1.9863 eV

Cartesian coordinates (Å):
N 1.422 1.039 0.695
C 0.373 0.604 1.630
N 0.404 -0.854 1.482
C -0.620 -1.368 0.345
C -0.370 -0.826 -1.083
C -0.806 0.571 -1.538
S 0.477 1.666 -2.280
H 1.298 1.259 -0.325
H 1.891 1.793 1.152
H -0.670 0.909 1.377
H 0.376 0.839 2.697
H 1.406 -1.037 1.169
H -1.711 -1.280 0.731
H -0.403 -2.489 0.247
H 0.689 -0.871 -1.381
H -0.779 -1.579 -1.729
H -1.478 1.151 -0.835
H -1.500 0.473 -2.353

=====

3.
A cluster of 2 separate species, C5H15NO3P in total in a non-equilibrium geometry, computed with ωB97M-V/def2-TZVPD.

Calculated values
Charge ... +1
LUMO energy ... -3.34 eV
Energy relative to the best compared isomer or geometry (same formula, charge and spin) ... 1.4487 eV

Cartesian coordinates (Å):
C -3.152 -0.107 -0.628
C -4.106 0.342 1.591
C 2.577 -2.135 -0.526
C -3.337 0.708 0.377
C 1.994 2.130 0.199
N 3.283 1.541 0.580
O -0.344 -0.932 -0.144
O 2.209 -0.788 -0.259
O 1.024 1.188 0.271
P 0.818 -0.024 -0.904
H -3.661 -1.114 -0.448
H -3.647 0.873 2.579
H -5.187 0.601 1.495
H -4.029 -0.727 1.602
H 1.792 -2.895 -0.196
H 3.428 -2.257 0.251
H 2.985 -2.293 -1.503
H -2.798 1.612 0.365
H 4.011 2.016 0.010
H 2.186 2.470 -0.925
H 1.858 2.986 0.744
H 3.470 1.605 1.682
H -2.615 0.058 -1.635
H 3.164 0.495 0.300
H -1.267 -0.700 -0.466

=====

4.
A structure of composition C33H38N9O2STa in a non-equilibrium geometry, computed with ωB97M-V/def2-TZVPD.

Calculated values
Charge ... +4
LUMO energy ... -12.40 eV
Energy relative to the best compared isomer or geometry (same formula, charge and spin) ... 2.1122 eV

Cartesian coordinates (Å):
Ta 0.236 -0.572 0.640
C -4.241 -0.483 -4.455
C -3.648 -0.298 -3.102
C -3.522 0.969 -2.532
C -2.974 1.138 -1.254
C -3.022 2.300 -0.421
N -2.915 3.569 -0.653
C -2.418 4.290 -1.800
C -0.893 4.512 -1.690
C -0.374 5.019 -0.334
N 0.223 3.957 0.459
C 1.336 4.062 1.119
C 1.892 3.097 1.999
C 3.062 3.455 2.699
C 3.620 2.660 3.692
C 4.895 3.027 4.351
C 2.936 1.495 4.037
C 1.841 1.023 3.297
C 1.249 -0.233 3.678
N 0.560 -1.033 2.933
C 0.051 -2.262 3.534
C -1.317 -2.703 3.003
C -1.310 -3.393 1.630
N -1.345 -2.390 0.589
C -2.287 -2.418 -0.280
C -2.617 -1.297 -1.135
C -3.270 -1.421 -2.358
C -2.399 -0.001 -0.606
O -1.622 0.175 0.416
____________

When I was hired at my school in 2009, it was to start a new technology program. After a period of strategic planning, the board of trustees decided they wanted to grow their technology usage in the classroom. The first thing the Head of School did was begin to find someone to bring on board to handle IT full-time. Before the school thought about buying laptops, new servers, or new software, they brought on a person who would be the directly responsible individual for everything. Instead of buying gear first, they wanted to hire someone who would decide which gear to buy. There’s a host of other decisions that a new hire could help make that someone without an IT mindset might not think about. By having someone on staff who can guide you through all of the planning, purchasing, deploying, and management, you can avoid major education technology mistakes that will affect students.


One of the key places that most school education technology deployments fall apart is with infrastructure. If a school is using decade old switches from Office Depot or AirPort Extremes for school Wi-Fi, it’ll quickly fall apart if you suddenly add hundreds of new Chromebooks or iPads to the network. You’ll want to spend time on the front end to bring in resources to examine your network, make recommendations, and then make the necessary upgrades. This setup includes Wi-Fi, switches, Firewalls, etc.


One of the key things when deploying new technology (and to avoid major education mistakes on deployment day) is to consider the security around connecting to the network. Will you use 802.1x, PSK, or technologies like PPSK as a middle ground? Do you want to set up a Guest network for parents to use when they are on campus? Your Wi-Fi authentication strategy will be a key aspect for an IT director to decide and deploy.

Device Management

== Molecular data that have nothing to do with the article ==
┌──
[1]
9 unconnected molecules or ions with the total composition C25H37F5N2O17. Source: the OMol25 dataset; level of theory: ωB97M-V/def2-TZVPD.

Computed properties:
SMILES: O=C1OC[C@@H](F)O1.O=C1OC[C@@H](F)O1.O=C1OC[C@@H](F)O1.O=C1OC[C@@H](F)O1.O=C1OC[C@@H](F)O1.CCCC#N.CCCC#N.CO.CO
ΔE to the lowest compared entry with this formula, charge and spin, eV: 0.076
E_LUMO, Ha: 0.015
Kohn-Sham gap, eV: 10.34

Positions of all 86 atoms, in Å:
1 N -13.186 -10.970 -16.430
2 O -9.279 -9.396 -16.666
3 H -10.996 -13.254 -10.268
4 H -13.641 -14.345 -9.900
5 H -17.351 -11.521 -12.897
6 H -14.397 -8.557 -19.910
7 O -16.261 -8.737 -13.249
8 F -14.244 -14.636 -15.585
9 H -8.485 -12.330 -17.604
10 H -9.036 -8.515 -13.950
11 C -11.827 -14.209 -8.594
12 F -14.779 -11.094 -14.053
13 H -17.538 -7.459 -9.628
14 C -11.604 -15.301 -13.811
15 O -8.817 -10.431 -18.593
16 H -17.151 -14.089 -13.661
17 O -16.291 -13.944 -9.536
18 C -11.873 -10.778 -13.418
19 O -17.024 -12.391 -11.033
20 C -13.286 -8.939 -18.028
21 H -11.974 -15.207 -8.160
22 O -16.849 -7.420 -11.552
23 H -18.468 -6.392 -10.793
24 F -7.869 -10.845 -15.770
25 C -10.861 -14.233 -9.726
26 H -12.109 -14.247 -16.590
27 C -14.071 -10.366 -13.135
28 O -12.883 -11.215 -12.698
29 N -13.918 -11.534 -9.967
30 H -15.755 -7.557 -18.160
31 H -8.615 -6.744 -13.577
32 H -9.949 -11.023 -15.606
33 H -15.709 -12.992 -13.392
34 H -11.057 -15.063 -10.369
35 H -13.995 -13.977 -8.225
36 C -9.189 -11.464 -17.651
37 O -11.045 -14.784 -14.962
38 H -8.569 -7.415 -15.269
39 O -16.619 -9.668 -9.572
40 C -14.496 -9.113 -18.923
41 C -16.546 -13.540 -12.957
42 C -13.250 -13.774 -9.000
43 H -11.444 -13.561 -7.806
44 O -9.173 -8.183 -18.448
45 H -16.128 -8.517 -8.042
46 H -10.170 -11.791 -17.953
47 H -12.338 -8.833 -18.512
48 C -15.768 -8.681 -18.239
49 C -9.109 -9.278 -18.000
50 C -17.031 -8.446 -12.374
51 C -9.073 -7.454 -14.279
52 C -13.557 -12.468 -9.415
53 O -10.440 -7.092 -14.533
54 C -18.886 -8.577 -10.977
55 O -12.888 -14.805 -13.688
56 H -9.848 -14.287 -9.433
57 H -16.168 -10.512 -9.708
58 C -9.119 -10.746 -16.267
59 C -13.232 -13.983 -14.793
60 C -11.940 -13.885 -15.573
61 O -18.197 -9.116 -12.111
62 H -16.655 -8.964 -18.753
63 F -18.781 -12.829 -12.441
64 H -18.983 -9.321 -10.206
65 H -14.629 -10.137 -19.142
66 H -15.901 -9.035 -17.214
67 C -13.448 -9.114 -13.650
68 H -13.877 -8.712 -14.546
69 H -15.399 -8.040 -9.623
70 O -10.857 -11.383 -13.634
71 C -13.216 -9.988 -17.059
72 H -11.527 -12.917 -15.560
73 H -13.412 -8.399 -12.898
74 H -14.819 -9.428 -8.586
75 H -13.352 -7.971 -17.540
76 F -20.115 -8.285 -11.430
77 C -16.484 -13.580 -10.642
78 O -12.079 -9.504 -13.832
79 O -11.095 -15.980 -12.973
80 C -15.640 -8.859 -8.943
81 H -10.675 -7.383 -15.429
82 O -16.145 -14.271 -11.760
83 H -14.708 -10.328 -12.312
84 C -17.461 -12.457 -12.395
85 C -17.981 -7.413 -10.613
86 H -13.796 -13.116 -14.412

---

[2]
A molecular structure, C25H37FeO2. Source: the OMol25 dataset; level of theory: ωB97M-V/def2-TZVPD.

Computed properties:
2S+1: 5
└──
== The article goes on ==

A huge consideration for education technology deployments is a device management strategy. I would argue that this is the hardest thing to fix post deployment as well. If you deploy an iPad to every student and then realize your Wi-Fi isn’t capable of supporting it, you can quickly deploy new gear. If you make mistakes on your device management setup, it can be difficult to rectify problems without having to redo a number of things. Part of the device management strategy setup includes things like Device Enrollment Program and Volume Purchase Program.

Software Stack

The final thing that an IT person can help a school figure out on the front end is your software stack. Do you need to migrate to a cloud-based email system? Where will you manage your documents? How will you onboard users to their machines? Will you need to roll out something like Azure Active Directory to let users log in to their Macs with that username and password? What programs will be your key applications that students and teachers rely on?


Like I mentioned at the beginning, having the right people on staff prior to purchasing Macs, iPads, and other gear is the most important thing you can do. Bring in someone with expertise who can own the project from planning, strategizing, purchasing, deployment, and management. Doing this will allow schools to avoid major education technology mistakes.

Photo by Henry Ascroft on Unsplash